First Shovercraft Meeting

Initial Shovercraft planning
Initial Shovercraft planning

We had our 2nd Castlemakers meeting upstairs in the Eli’s Books community room last week; it was the official shovercraft kickoff meeting. It started with a video of a simple home built ‘shovercraft’ someone built and then the kids discussed what might be needed to build one.

Then there was a small demo of a simple hovercraft made with a balloon, disposable water bottle, and an old audio CD (with lots of tape on it). The demo was a hit with the kids judging by the number of balloons used!!

The kids involved got to find out their team members (3 teams with now 4 kids each) and their adult mentor for the project who also helps them on the project. There are lots of possible designs and one of the first thing they’ll be deciding includes: what shape (circle? rectangle? boat shaped?), what type of ‘engine’ (or leaf blower), and chair/no chair. Plus lots of other items, including how to decorate it! Each person there got a notebook to draw and keep notes in – the young designers/makers took off from there.

## Someone pasted materials data at this point
┌──
No. 1
A plane-wave DFT calculation with PBE was carried out for a geometry-optimized PrHfNbO6 structure.

The total DFT energy (no corrections) is -9.21 eV per atom. The calculation puts the magnetic moment at 0.000 μB per atom. For the density of states at the Fermi level, the calculation gives 0.00 states/eV/cell. The symmetry is P-31c, No. 163. Its energy relative to the elements, uncorrected is -3.149 eV/atom.

Cell: 5.4228 5.4228 10.1961 Å, 90.00 90.00 120.00°
Last column: nearest neighbours and their distance in Å.
Sites, in units of the cell vectors:
Pr 0.0000 0.0000 0.0000  6 O 2.44
Pr 0.0000 0.0000 0.5000  6 O 2.44
Hf 0.3333 0.6667 0.2500  6 O 2.09
Hf 0.6667 0.3333 0.7500  6 O 2.09
Nb 0.3333 0.6667 0.7500  6 O 2.02
Nb 0.6667 0.3333 0.2500  6 O 2.02
O 0.0088 0.3686 0.6413  1 Nb 2.02, 1 Hf 2.09
O 0.0088 0.6401 0.8587  1 Nb 2.02, 1 Hf 2.09
O 0.3599 0.3686 0.8587  1 Nb 2.02, 1 Hf 2.09
O 0.3599 0.9912 0.6413  1 Nb 2.02, 1 Hf 2.09
O 0.3686 0.0088 0.1413  1 Nb 2.02, 1 Hf 2.09
O 0.3686 0.3599 0.3587  1 Nb 2.02, 1 Hf 2.09
O 0.6314 0.6401 0.6413  1 Nb 2.02, 1 Hf 2.09
O 0.6314 0.9912 0.8587  1 Nb 2.02, 1 Hf 2.09
O 0.6401 0.0088 0.3587  1 Nb 2.02, 1 Hf 2.09
O 0.6401 0.6314 0.1413  1 Nb 2.02, 1 Hf 2.09
O 0.9912 0.3599 0.1413  1 Nb 2.02, 1 Hf 2.09
O 0.9912 0.6314 0.3587  1 Nb 2.02, 1 Hf 2.09


No. 2
A plane-wave DFT calculation with PBE was carried out for a geometry-optimized SiSe2Br structure.

As for the energy relative to the lowest polymorph listed for this composition: 783 meV/atom. The total DFT energy (no corrections) is -2.85 eV per atom. The calculation puts the magnetic moment at 0.000 μB per atom. For the density of states at the Fermi level, the calculation gives 2.12 states/eV/cell. The symmetry is P4/mmm, No. 123. Its energy relative to the elements, uncorrected is 0.670 eV/atom.

Cell: 5.1485 5.1485 3.2055 Å, 90.00 90.00 90.00°
Last column: nearest neighbours and their distance in Å.
Sites, in units of the cell vectors:
Si 0.0000 0.0000 0.0000  8 Se 3.03, 2 Si 3.21
Se 0.0000 0.5000 0.5000  4 Br 3.03, 4 Si 3.03, 2 Se 3.21
Se 0.5000 0.0000 0.5000  4 Br 3.03, 4 Si 3.03, 2 Se 3.21
Br 0.5000 0.5000 0.0000  8 Se 3.03, 2 Br 3.21


No. 3
A plane-wave DFT calculation with PBE was carried out for a geometry-optimized LiLaBiPt structure.

The total DFT energy (no corrections) is -4.88 eV per atom. The calculation puts the magnetic moment at 0.000 μB per atom. For the density of states at the Fermi level, the calculation gives 3.03 states/eV/cell. The symmetry is F-43m, No. 216. The energy relative to the elements comes out at -0.69 eV per atom.

Cell: 5.0532 5.0532 5.0532 Å, 60.00 60.00 60.00°
Last column: nearest neighbours and their distance in Å.
Sites, in units of the cell vectors:
Li 0.0000 0.0000 0.0000  4 Bi 3.09, 4 La 3.09
La 0.7500 0.7500 0.7500  4 Li 3.09, 4 Pt 3.09
Bi 0.2500 0.2500 0.2500  4 Pt 3.09, 4 Li 3.09
Pt 0.5000 0.5000 0.5000  4 La 3.09, 4 Bi 3.09


No. 4
└──

Our next full group meeting will be on July 10th at 7pm to review how the designs are coming, although the individual teams will be meeting between now and then. We now have a goal for completed shovercraft and either a ‘who goes the furthest’ or hovercraft shuffleboard competition on August 16th or August 23rd – depending on our final location. There will be more information and updates later!!

Shovercraft Build

Basic parts used to make a "shoveable hovercraft"
Basic parts used to make a “shoveable hovercraft”

The mentors have met after our last group meeting and we decided on a Shovercraft as our first group build project. It looks like there will be at least 3 groups of 3-4 kids building one, then we’ll have a competition/race in August.

Our next meeting is Thursday June 12 at 7pm in the Community Room above Eli’s Books just off the square downtown. Please feel free to join us, we have 4 mentors willing to give their time so we can investigate, design, and create these craft for the competition. Even if you haven’t been involved so far, you’re welcome to show up and have your 9-14 year old daughter/son participate in this youth-centered maker club event.

Keep watching our Projects page for more details on how the team builds are going & when we’ll have the challenge/competition for the groups in August.

3D Printers

Smaller RepRap style 3D printer that 3D Parts Manufacturing is offering
Smaller RepRap style 3D printer that 3D Parts Manufacturing is offering.

Many makers have or use a 3D printer. I’m sure there are some here in Putnam County already, but I’d like to see a publicly available one. I’m personally building a 3D SLA printer with some help from some other folks, but would love to connect with other folks near Greencastle that have a 3D printer. Respond to this post or send me an email if you have one. There’s a certain amount of learning in making these work & we can build our skills/knowledge together.

Last week I was able to visit 3D Parts Manufacturing in Indianapolis to see their operation. Neat operation and Kim Brand is doing some real interesting things around 3D printing. If you just look at their website you’d get the impression that they’re mainly involved with the high end 3D printers, and they certainly have those, but they’re also working on creating a program for middle school kids that includes a 3D printer, support, and the lessons to go with it. An IBJ reporter was there the morning I visited and an article on what they’re doing just came out in this week’s Indianapolis Business Journal. I’m hoping to get Kim over here to Greencastle later this year.

Attached: data records:
<<<
5
Lattice="-3.876 -2.235 -2.352 2.262 -3.757 -0.158 -1.934 -1.352 4.470" Properties=species:S:1:pos:R:3 comment="NaMg2SiB | Alexandria | PBE | relaxed" crystal_system=tetragonal dos_ef_per_ev_cell=2.058 magnetic_moment_mub_per_cell=0.0 dft_energy_ev_per_atom=-1.79 pbc="T T T"
Na 0.000 0.000 0.000
Si -1.773 -3.672 0.980
B 1.131 -1.879 -0.079
Mg -0.967 -0.676 2.235
Mg -1.938 -1.117 -1.176



13
Lattice="5.445 0.000 0.000 2.723 6.275 0.000 2.723 0.000 6.160" Properties=species:S:1:pos:R:3 comment="TbZn10Pd2 | Alexandria | PBE | relaxed" crystal_system=orthorhombic dos_ef_per_ev_cell=5.798 magnetic_moment_mub_per_cell=0.0 formation_energy_ev_per_atom=-0.295 pbc="T T T"
Tb 0.000 0.000 0.000
Zn 5.445 4.053 4.028
Zn 5.445 2.222 2.132
Zn 8.168 2.222 4.028
Zn 2.723 4.053 2.132
Zn 1.361 0.000 3.080
Zn 4.084 0.000 3.080
Zn 2.723 1.350 1.335
Zn 8.168 4.925 4.825
Zn 5.445 4.925 1.335
Zn 5.445 1.350 4.825
Pd 1.361 3.137 0.000
Pd 4.084 3.137 0.000



10
Lattice="-5.551 -2.855 -1.459 -0.597 -1.946 6.079 -2.291 3.928 1.032" Properties=species:S:1:pos:R:3 comment="Nb2Ag2Ru | Alexandria | PBE | relaxed" crystal_system=tetragonal dos_ef_per_ev_cell=11.837 relative_energy_mev_per_atom=0 magnetic_moment_mub_per_cell=0.0 formation_energy_ev_per_atom=0.599 pbc="T T T"
Ru 0.000 0.000 0.000
Ru -3.074 -2.401 2.310
Nb -2.491 -2.685 4.687
Nb -5.140 -3.698 2.661
Nb -3.657 -2.116 -0.067
Nb -1.008 -1.103 1.959
Ag -2.416 0.232 4.286
Ag -5.301 -1.554 4.674
Ag -6.023 -1.105 1.366
Ag -3.138 0.680 0.978



15
Lattice="-1.323 7.146 1.628 -3.269 -5.389 3.963 8.112 1.198 1.329" Properties=species:S:1:pos:R:3 comment="Na3Ti3AlSe8 | Alexandria | PBE | relaxed" crystal_system=trigonal dos_ef_per_ev_cell=6.242 magnetic_moment_mub_per_cell=1.9 dft_energy_ev_per_atom=-5.06 pbc="T T T"
Na 0.000 0.000 0.000
Na -1.635 -2.694 1.982
Na -2.296 0.879 2.796
Ti 3.394 4.172 1.479
Ti 1.760 1.478 3.460
Ti 2.421 -2.095 2.646
Al 4.056 0.599 0.664
Se 0.273 -0.608 2.893
Se 3.247 3.564 4.028
Se -0.361 2.962 3.741
Se 3.881 -0.006 3.180
Se 1.280 5.667 1.751
Se 2.240 -2.711 5.170
Se 1.944 2.080 0.934
Se 1.576 0.876 5.987

=====

# Ac2V2O7, optimized geometry, DFT PBE with a Hubbard U
data_Ac2V2O7
_chemical_formula_sum 'Ac2 V2 O7'
_cell_length_a 6.1313
_cell_length_b 5.2317
_cell_length_c 6.3739
_cell_angle_alpha 80.76
_cell_angle_beta 76.80
_cell_angle_gamma 94.84
_space_group_name_H-M_alt 'P 1'
_space_group_IT_number 1
_space_group_name_Hall 'P 1'
loop_
_atom_site_label
_atom_site_type_symbol
_atom_site_fract_x
_atom_site_fract_y
_atom_site_fract_z
Ac1 Ac 0.6968 0.4690 0.7092
Ac2 Ac 0.3032 0.5310 0.2908
V1 V 0.7852 0.0782 0.2317
V2 V 0.2148 0.9218 0.7683
O1 O 0.9154 0.2800 0.3870
O2 O 0.4024 0.7232 0.8910
O3 O 0.0846 0.7200 0.6130
O4 O 0.5976 0.2768 0.1090
O5 O 0.0000 0.0000 0.0000
O6 O 0.6294 0.7705 0.3837
O7 O 0.3706 0.2295 0.6163
# Total DFT energy (no corrections): -7.9158 eV per atom
# Crystal system: triclinic
>>>
End of the data records:

There are several different types of 3D printers, explaining some of the nomenclature can help you understand those types.

3D printing is an additive process vs. the traditional subtractive machining used with CNC, lathes, and many other traditional fabrication tools. One of the real breakthroughs in more affordable printers was the open source printers that first started appearing in 2005. Many of these were based on the RepRap design goal to create a machine that could print most of its parts. The RepRap based designs, and most current printers less than $1000, use Fused Filament Fabrication (FFF) which extrudes a thermoplastic. But other options are starting to appear including some lower cost Stereolithography (SLA) designs. SLA has traditionally been one of the more expensive 3D printing methods because of the material cost and laser control. I’ll write something on low cost 3D printing methods and the equipment we’re looking at for Castlemakers in a future note.